Mar 31, 2023 · Northside ISD Boundary! Elementary School" Middle School # High School 2023-24 School Locator Map Schools and Facilities Map 210-397-8589 (Attendance Area Information) 210-397-8500 (Main Switchboard) www.nisd.net Northside Independent School District 3/31/2023. Title: LocatorMap_allFacilities_202324.mxd
Schools | Northside Independent School District
Our Boundaries and Buses Information System will provide you with the name and address of the schools serving your area. Just enter the student’s street number and street name to search for school assignment, bus route information, and any future Board adopted boundary changes.
(Materials data from another source follow)
1.
Density functional theory data (PBE) for a relaxed structure of BeCu2P.

ΔH_f (0 K) in eV per formula unit: 0.80
Symmetry: No. 99
Calculated total energy in eV for the cell shown: -16.53
Excess energy over the best structure of this formula in the dataset in meV/atom: 158

abc: 2.5223 2.5223 7.3659
angles: 90.00 90.00 90.00
Closest atoms and distances in Å follow each position.
Sites, in units of the cell vectors:
Cu 0.5000 0.5000 0.2343  8 Cu 2.52-2.61, 4 P 2.76
Cu 0.0000 0.0000 0.9758  4 Be 2.34, 8 Cu 2.52-2.61
P 0.0000 0.0000 0.5205  4 P 2.52, 4 Be 2.56, 4 Cu 2.76
Be 0.5000 0.5000 0.7695  4 Cu 2.34, 4 Be 2.52, 4 P 2.56


2.
Density functional theory data (PBE) for a relaxed structure of Hf6TcRh5.

ΔH_f (0 K) in eV per formula unit: -10.14
Symmetry: No. 10
Calculated total energy in eV for the cell shown: -116.98

abc: 4.6217 6.5283 7.2771
angles: 90.00 107.97 90.00
Closest atoms and distances in Å follow each position.
Sites, in units of the cell vectors:
Rh 0.6659 0.0000 0.3354  8 Hf 2.83-2.84
Rh 0.6654 0.5000 0.3333  8 Hf 2.82-2.83
Rh 0.3341 0.0000 0.6646  8 Hf 2.83-2.84
Rh 0.3346 0.5000 0.6667  8 Hf 2.82-2.83
Rh 0.0000 0.5000 0.0000  8 Hf 2.81-2.83
Hf 0.1651 0.2506 0.3315  7 Rh 2.81-2.84, 1 Tc 2.82
Hf 0.5000 0.2489 0.0000  2 Tc 2.82, 6 Rh 2.83
Hf 0.5000 0.7511 0.0000  2 Tc 2.82, 6 Rh 2.83
Hf 0.1651 0.7494 0.3315  7 Rh 2.81-2.84, 1 Tc 2.82
Hf 0.8349 0.2506 0.6685  7 Rh 2.81-2.84, 1 Tc 2.82
Hf 0.8349 0.7494 0.6685  7 Rh 2.81-2.84, 1 Tc 2.82
Tc 0.0000 0.0000 0.0000  8 Hf 2.82


3.
Density functional theory data (PBE) for a relaxed structure of KCo2AsRh.

ΔH_f (0 K) in eV per formula unit: 11.27
Symmetry: No. 123
Calculated total energy in eV for the cell shown: -16.04

abc: 4.4405 4.8240 4.4405
angles: 90.00 90.00 90.00
Closest atoms and distances in Å follow each position.
Sites, in units of the cell vectors:
Co 0.0000 0.0000 0.5000  2 K 2.22
Co 0.5000 0.0000 0.0000  2 K 2.22
K 0.0000 0.0000 0.0000  4 Co 2.22, 2 Rh 2.41
Rh 0.0000 0.5000 0.0000  2 K 2.41
As 0.5000 0.5000 0.5000  4 Rh 3.14, 8 Co 3.28


4.
Density functional theory data (PBE) for a relaxed structure of Cs4Mg3InBr12.

Symmetry: No. 229
Calculated total energy in eV for the cell shown: -60.50
Formation energy without anion corrections in eV per atom: -1.474

abc: 9.5931 9.5931 9.5931
angles: 109.47 109.47 109.47
Closest atoms and distances in Å follow each position.
Sites, in units of the cell vectors:
Br 0.2500 0.5000 0.7500  2 Mg 2.77
Br 0.2596 0.0000 0.2596  1 Mg 2.66, 1 In 2.88
Br 0.7404 0.7404 0.0000  1 Mg 2.66, 1 In 2.88
Br 0.2500 0.7500 0.5000  2 Mg 2.77
Br 0.5000 0.7500 0.2500  2 Mg 2.77
Br 0.5000 0.2500 0.7500  2 Mg 2.77
Br 0.0000 0.7404 0.7404  1 Mg 2.66, 1 In 2.88
Br 0.0000 0.2596 0.2596  1 Mg 2.66, 1 In 2.88
Br 0.7500 0.2500 0.5000  2 Mg 2.77
Br 0.7404 0.0000 0.7404  1 Mg 2.66, 1 In 2.88
Br 0.7500 0.5000 0.2500  2 Mg 2.77
Br 0.2596 0.2596 0.0000  1 Mg 2.66, 1 In 2.88
Cs 0.5000 0.0000 0.0000  12 Br 3.92
Cs 0.5000 0.5000 0.5000  12 Br 3.92
Attendance Boundaries - Northwest Independent School District - nisdtx.org
The tool presents families with a color-coded Google map featuring each school zone for the indicated campus level – elementary, middle and high. Families can also type in their address to immediately see their zoned schools by campus level as well as links for the school’s email address and website along with district enrollment and ...
Google Maps
Find local businesses, view maps and get driving directions in Google Maps.
Between two parts of the article: materials data:
/*
No. 1
A plane-wave DFT calculation with PBE was carried out for a relaxed structure of GaAgHg3.

Properties
ρ ... 8.8 g cm⁻³
Formation energy ... 31 kJ/mol of atoms
M_tot ... 0.00 μB per atom
ΔE to the lowest computed polymorph ... 10 meV per atom
Energy ... -1.04 eV per atom

CIF file:
```
data_GaAgHg3
_chemical_formula_sum 'Ga1 Ag1 Hg3'
_cell_length_a 5.271
_cell_length_b 5.271
_cell_length_c 5.271
_cell_angle_alpha 90.00
_cell_angle_beta 90.00
_cell_angle_gamma 90.00
_space_group_name_H-M_alt 'P 1'
_space_group_IT_number 1
_space_group_name_Hall 'P 1'
loop_
_atom_site_label
_atom_site_fract_x
_atom_site_fract_y
_atom_site_fract_z
_atom_site_occupancy
Hg1 0.000 0.000 0.500 1
Hg2 0.500 0.000 0.000 1
Hg3 0.000 0.500 0.000 1
Ag1 0.500 0.500 0.500 1
Ga1 0.000 0.000 0.000 1
```

***

No. 2
A plane-wave DFT calculation with PBE was carried out for a relaxed structure of Ga8Ag6Hg.

Properties
ρ ... 8.2 g cm⁻³
Formation energy ... 2 kJ/mol of atoms
M_tot ... 0.00 μB per atom
Energy ... -2.76 eV per atom

CIF file:
```
data_Ga8Ag6Hg
_chemical_formula_sum 'Ga8 Ag6 Hg1'
_cell_length_a 7.063
_cell_length_b 7.063
_cell_length_c 7.063
_cell_angle_alpha 66.46
_cell_angle_beta 66.46
_cell_angle_gamma 66.46
_space_group_name_H-M_alt 'P 1'
_space_group_IT_number 1
_space_group_name_Hall 'P 1'
loop_
_atom_site_label
_atom_site_fract_x
_atom_site_fract_y
_atom_site_fract_z
_atom_site_occupancy
Ag1 0.841 0.678 0.401 1
Ag2 0.678 0.401 0.841 1
Ag3 0.159 0.322 0.599 1
Ag4 0.401 0.841 0.678 1
Ag5 0.599 0.159 0.322 1
Ag6 0.322 0.599 0.159 1
Ga1 0.853 0.189 0.537 1
Ga2 0.227 0.227 0.227 1
Ga3 0.189 0.537 0.853 1
Ga4 0.537 0.853 0.189 1
Ga5 0.463 0.147 0.811 1
Ga6 0.811 0.463 0.147 1
Ga7 0.773 0.773 0.773 1
Ga8 0.147 0.811 0.463 1
Hg1 0.000 0.000 0.000 1
```

----------

PBE Dy6Tl2Zn, optimized geometry; spin magnetization = 0.000 μB/atom; symmetry = Immm, No. 71
1.0
-3.9829 0.6407 3.1163
-1.7083 -6.9793 -0.7484
7.2628 1.4443 4.8197
Dy Tl Zn
6 2 1
direct
0.1603 0.4032 0.3214
0.5000 0.2345 0.0000
0.5000 0.7655 0.0000
0.1603 0.9181 0.3214
0.8397 0.0819 0.6786
0.8397 0.5968 0.6786
0.6662 0.6667 0.3335
0.3338 0.3333 0.6665
0.0000 0.0000 0.0000

***

PBE Dy7Tl2Zn2, optimized geometry; spin magnetization = 0.000 μB/atom; symmetry = Cmmm, No. 65
1.0
6.6810 -0.0024 -1.0040
0.0035 7.5874 0.0032
-1.4183 -0.0024 6.6054
Dy Tl Zn
7 2 2
direct
0.5000 0.2750 0.0000
0.0000 0.2750 0.5000
0.0000 0.7250 0.5000
0.5000 0.2320 0.5000
0.5000 0.7250 0.0000
0.0000 0.0000 0.0000
0.5000 0.7680 0.5000
0.8102 0.5000 0.8102
0.1898 0.5000 0.1898
0.2855 0.0000 0.7145
0.7145 0.0000 0.2855

***

PBE DyTlZn, optimized geometry; spin magnetization = 0.000 μB/atom; symmetry = Pmma, No. 51
1.0
-2.0844 3.2408 0.6470
-6.5807 -3.8807 -1.7630
-1.4391 -3.5646 13.2183
Dy Zn Tl
6 6 6
direct
0.0000 0.7713 0.0548
0.0000 0.1810 0.2500
0.0000 0.2287 0.5548
0.0000 0.2287 0.9452
0.0000 0.7713 0.4452
0.0000 0.8190 0.7500
0.0000 0.5717 0.2500
0.5000 0.9346 0.5867
0.0000 0.4283 0.7500
0.5000 0.9346 0.9133
*/
Here the article continues:
Home - Boundaries And Buses
Select the street name carefully, as there may be streets with similar spellings. For example, TIMBERHILL and TIMBER HILL are in fact two different streets. For school boundary questions, please direct inquiries to (210) 397-8796. Please direct any bus/transportation questions to the bus station serving your child.
Map of Northside Independent School District High School …
An Interactive Map and Data for Northside Independent School District, Texas High School Attendance Zones
Map of Northside Independent School District Elementary School ...
An Interactive Map and Data for Northside Independent School District, Texas Elementary School Attendance Zones
Mar 28, 2024 · Northside ISD Boundary! Elementary School" Middle School # High School 2024-25 School Locator Map Schools and Facilities Map 210-397-8589 (Attendance Area Information) 210-397-8500 (Main Switchboard) www.nisd.net Northside Independent School District 3/28/2024. Title: LocatorMap_allFacilities_202425.mxd
MAP Assessments - Northwest Independent School District - nisdtx.org
MAP is a nationally normed, adaptive achievement test. Nationally normed assessments compare your child to other typical students in the same grade, tested at the same point in the school year, across the nation.
Attendance boundaries for 2023-2024 approved | Details
Following school board approval on January 23, Northwest ISD has finalized 2023-2024 attendance boundaries that will best balance the student populations at schools across the district during a period of unprecedented growth.